Lower health care costs act comes with own price
Published 10:50 am Tuesday, December 17, 2019
By Josh Crawford
Guest Columnist
On Sunday, Dec. 8, federal lawmakers unveiled the “Lower Health Care Costs Act of 2019” (LHCCA). The bill aims to tackle some of the issues facing the American healthcare system, most notably “surprise billing.”
Surprise billing happens when a patient receives treatment at a hospital covered by their insurance, but part, or all, of the care is carried out by an out-of-network provider contracted with the hospital. As a result, some, or all, of the costs are not covered by your insurance and – Surprise! – you now have a bill you weren’t expecting.
No one wants to get a bill in the mail, especially one they weren’t expecting, but in the case of the “Lower Health Care Costs Act of 2019,” the medicine is worse than the ailment.
The primary method by which the LHCCA would curb surprise billing is through federally mandated price controls or “benchmarking” as it’s referred to in the bill.
The prospect of additional federal price controls in healthcare ought to be cause for concern for lawmakers. Even if price controls do lower costs – because the federal government now says the cost is lower – they cause negative side effects the likes of which would need to be read quickly at the end of a commercial.
Price controls not only limit how much a particular provider can earn for a given service, but can result in doctors and other healthcare providers not being able to continue operations. As Yale Economics Professor Fiona Scott Morton has pointed out, “When prices are held below natural levels, resources such as talent and investor capital leave an industry to seek a better return elsewhere.”
It’s an essential tenet of economics; price controls distort markets and prevent providers from obtaining accurate information about their consumers. Outside of a free-market price system, producers don’t know how much of something to produce and, absent an appropriate profit motive, won’t produce much of anything at all.
In the context of healthcare, this means provider consolidation, less investment in innovation, and less satisfactory care. It is ultimately patients who will bear the cost.
These concerns aren’t just theoretical either. As is often the case, California already implemented similar provisions in 2017.
A study published in August in the American Journal of Managed Care found that while the law did result in fewer surprise bills it also led to “lower provider payment rates and increased physician group consolidation.” Additionally, according to the California Medical Association, “The California Department of Managed Health Care recently reported that there was a 48% increase in patient access to care complaints [from] 2016-2018 – after the passage of California’s surprise billing law.”
That’s particularly concerning for rural states like Kentucky, where many of our residents already have fewer healthcare options and less access to care than states like California. Rural healthcare already faces a myriad of challenges including workforce shortages and geographic isolation, legislation that encourages provider consolidation would only make these problems worse.
**Materials data from another source follow**
=====
Entry 1:
First-principles (GGA+U) data for Na3Ni2P2C2O14 after structural relaxation, as listed in the Materials Project database.

a = 6.550 Å, b = 8.924 Å, c = 10.363 Å
α = 91.48°, β = 90.10°, γ = 90.92°
Positions (direct):
O  0.751  0.130  0.280
O  0.243  0.465  0.036
O  0.759  0.423  0.183
O  0.750  0.937  0.912
O  0.250  0.063  0.088
O  0.938  0.677  0.146
O  0.938  0.678  0.643
O  0.062  0.323  0.854
O  0.748  0.174  0.988
O  0.259  0.867  0.220
O  0.755  0.538  0.457
O  0.748  0.428  0.680
O  0.757  0.934  0.412
O  0.252  0.572  0.320
O  0.566  0.668  0.151
O  0.563  0.676  0.634
O  0.241  0.577  0.817
O  0.757  0.535  0.964
O  0.245  0.462  0.543
O  0.249  0.870  0.720
O  0.749  0.174  0.487
O  0.434  0.332  0.849
O  0.062  0.322  0.357
O  0.741  0.133  0.780
O  0.243  0.066  0.588
O  0.251  0.826  0.513
O  0.252  0.826  0.012
O  0.437  0.324  0.366
C  0.746  0.075  0.894
C  0.248  0.927  0.607
C  0.752  0.073  0.393
C  0.254  0.925  0.106
Ni  0.746  0.344  0.356
Ni  0.745  0.347  0.862
Ni  0.255  0.653  0.138
Ni  0.254  0.656  0.644
Na  0.969  0.745  0.874
Na  0.485  0.252  0.627
Na  0.031  0.255  0.126
Na  0.010  0.253  0.630
Na  0.990  0.747  0.370
Na  0.515  0.748  0.373
P  0.750  0.577  0.607
P  0.250  0.423  0.393
P  0.751  0.573  0.111
P  0.249  0.427  0.889

Values from the calculation:
DFT formation energy = -45.737 eV per formula unit
offset from the most stable computed form = 3.3 meV/atom
total magnetic moment = 1.00 μB per formula unit

Entry 2:
First-principles (GGA+U) data for Ca3CoO6 after structural relaxation, as listed in the Materials Project database.

a = 6.371 Å, b = 9.197 Å, c = 8.832 Å
α = 89.99°, β = 90.00°, γ = 87.48°
Positions (direct):
O  0.078  0.603  0.329
O  0.223  0.996  0.572
O  0.068  0.325  0.399
O  0.567  0.828  0.601
O  0.433  0.172  0.399
O  0.933  0.172  0.101
O  0.422  0.397  0.829
O  0.067  0.828  0.899
O  0.276  0.501  0.572
O  0.568  0.325  0.101
O  0.578  0.603  0.171
O  0.576  0.105  0.673
O  0.724  0.499  0.428
O  0.277  0.004  0.072
O  0.932  0.675  0.601
O  0.224  0.499  0.072
O  0.424  0.895  0.327
O  0.776  0.501  0.928
O  0.777  0.004  0.428
O  0.723  0.996  0.928
O  0.432  0.675  0.899
O  0.924  0.895  0.173
O  0.076  0.105  0.827
O  0.922  0.397  0.671
Ca  0.398  0.424  0.324
Ca  0.249  0.250  0.646
Ca  0.106  0.073  0.323
Ca  0.898  0.424  0.176
Ca  0.102  0.576  0.824
Ca  0.749  0.250  0.854
Ca  0.602  0.576  0.676
Ca  0.394  0.927  0.823
Ca  0.606  0.073  0.177
Ca  0.251  0.750  0.146
Ca  0.894  0.927  0.677
Ca  0.751  0.750  0.354
Co  0.500  0.500  0.000
Co  0.000  0.000  0.000
Co  0.000  0.500  0.500
Co  0.500  0.000  0.500

Values from the calculation:
DFT formation energy = -22.989 eV per formula unit
offset from the most stable computed form = 1.4 meV/atom
total magnetic moment = 3.00 μB per formula unit

Entry 3:
First-principles (GGA+U) data for Li2Cr3Co2O12 after structural relaxation, as listed in the Materials Project database.

a = 9.150 Å, b = 9.176 Å, c = 12.643 Å
=====
That’s why the opposition to these kinds of price controls come from a diverse coalition including American Medical Association, American Hospital Association, and the American College of Emergency Physicians.
Price controls were also opposed in a letter sent to lawmakers from 75 Conservative groups last week, reminding them of the economic scarcity price controls naturally create.
While the issue of surprise medical billing is undoubtedly a problem, federally mandated price controls are not the kind of medicine Congress should prescribe.
Josh Crawford is executive director of the Pegasus Institute.